(Data)
********
Co2As2PbO7: calculated powder diffraction line list (Cu Kα X-rays), based on a structure optimized by DFT (GGA+U).
No peak broadening, texture or thermal motion is included.

The 12 most intense peaks (10 to 90 degrees two-theta), in order of falling intensity:
two_theta	intensity
29.87	100
34.26	93
21.54	63
37.33	37
46.08	36
58.66	32
66.77	27
20.09	26
61.35	24
44.07	23
51.56	20
40.83	18

Structure:
abc: 7.2903 7.2903 7.2903
angles: 42.08 42.08 42.08
Fractional coordinates of all 12 atoms:
Co  0.1730  0.1730  0.1730
Co  0.8270  0.8270  0.8270
As  0.4142  0.4142  0.4142
As  0.5858  0.5858  0.5858
Pb  0.0000  0.0000  0.0000
O  0.0486  0.4288  0.8193
O  0.1807  0.5712  0.9514
O  0.4288  0.8193  0.0486
O  0.5000  0.5000  0.5000
O  0.5712  0.9514  0.1807
O  0.8193  0.0486  0.4288
O  0.9514  0.1807  0.5712

~~~~~

For Rb2TlH6Os, DFT lattice parameters and positions (GGA-PBE) gives the calculated X-ray powder pattern in this record (a wavelength of 1.5418 Å).

```
data_Rb2TlH6Os
_chemical_formula_sum 'Rb2 Tl1 H6 Os1'
_space_group_name_H-M_alt 'P -3 m 1'
_space_group_IT_number 164
_space_group_name_Hall '-P 3 2"'
_cell_length_a 6.1492
_cell_length_b 6.1492
_cell_length_c 5.5164
_cell_angle_alpha 90.00
_cell_angle_beta 90.00
_cell_angle_gamma 120.00
loop_
_atom_site_label
_atom_site_fract_x
_atom_site_fract_y
_atom_site_fract_z
_atom_site_occupancy
Rb1 0.3333 0.6667 0.2069 1
Tl1 0.0000 0.0000 0.5000 1
H1 0.1476 0.2953 0.8644 1
Os1 0.0000 0.0000 0.0000 1
```

Principal peaks in the range 2θ from 5° to 70°, by angle:
| d/Å | two_theta | I_rel | (hkl) |
| --- | --- | --- | --- |
| 5.325 | 16.6 | 100 | 1 0 0 |
| 3.831 | 23.2 | 23 | 1 0 1 |
| 3.075 | 29.0 | 91 | 1 1 0 |
| 2.663 | 33.7 | 17 | 2 0 0 |
| 2.449 | 36.7 | 69 | 0 1 2 |
| 2.013 | 45.0 | 16 | 2 1 0 |
| 1.916 | 47.5 | 34 | 2 0 2 |
| 1.775 | 51.5 | 19 | 3 0 0 |
| 1.626 | 56.6 | 40 | 1 2 2 |
| 1.537 | 60.2 | 12 | 2 2 0 |


For CePrCd6, DFT lattice parameters and positions (GGA-PBE) gives the calculated X-ray powder pattern in this record (a wavelength of 1.5418 Å).

```
data_CePrCd6
_chemical_formula_sum 'Ce2 Pr2 Cd12'
_space_group_name_H-M_alt 'A m m 2'
_space_group_IT_number 38
_space_group_name_Hall 'A 2 -2'
_cell_length_a 4.993
_cell_length_b 7.002
_cell_length_c 11.582
_cell_angle_alpha 90.00
_cell_angle_beta 90.00
_cell_angle_gamma 90.00
loop_
_atom_site_label
_atom_site_fract_x
_atom_site_fract_y
_atom_site_fract_z
_atom_site_occupancy
Ce1 0.000 0.000 0.000 1
Pr1 0.500 0.000 0.306 1
Cd1 0.000 0.000 0.489 1
Cd2 0.000 0.221 0.738 1
Cd3 0.500 0.000 0.821 1
Cd4 0.500 0.226 0.567 1
```

Principal peaks in the range 2θ from 5° to 70°, by angle:
| d/Å | two_theta | I_rel | (hkl) |
| --- | --- | --- | --- |
| 2.996 | 29.8 | 19 | 0 2 2 |
| 2.896 | 30.9 | 16 | 0 0 4 |
| 2.569 | 34.9 | 100 | 1 2 2 |
| 2.505 | 35.8 | 38 | 1 0 4 |
| 2.497 | 36.0 | 30 | 2 0 0 |
| 1.918 | 47.4 | 10 | 2 2 2 |
| 1.690 | 54.3 | 16 | 0 2 6 |
| 1.455 | 64.0 | 16 | 3 2 2 |
| 1.434 | 65.0 | 18 | 2 4 0 |
| 1.400 | 66.8 | 16 | 2 2 6 |


For SrCuNi3, DFT lattice parameters and positions (GGA-PBE) gives the calculated X-ray powder pattern in this record (a wavelength of 1.5418 Å).

```
data_SrCuNi3
_chemical_formula_sum 'Sr1 Cu1 Ni3'
_space_group_name_H-M_alt 'P m -3 m'
_space_group_IT_number 221
_space_group_name_Hall '-P 4 2 3'
_cell_length_a 4.478
_cell_length_b 4.478
_cell_length_c 4.478
_cell_angle_alpha 90.00
_cell_angle_beta 90.00
_cell_angle_gamma 90.00
loop_
_atom_site_label
_atom_site_fract_x
_atom_site_fract_y
_atom_site_fract_z
_atom_site_occupancy
Sr1 0.000 0.000 0.000 1
Cu1 0.500 0.500 0.500 1
Ni1 0.000 0.500 0.500 1
```

Principal peaks in the range 2θ from 5° to 70°, by angle:
| d/Å | two_theta | I_rel | (hkl) |
| --- | --- | --- | --- |
| 4.478 | 19.8 | 11 | 1 0 0 |
| 3.166 | 28.2 | 36 | 1 1 0 |
| 2.585 | 34.7 | 75 | 1 1 1 |
| 2.239 | 40.3 | 100 | 2 0 0 |
| 2.002 | 45.3 | 5 | 2 1 0 |
| 1.828 | 49.9 | 15 | 2 1 1 |
| 1.583 | 58.3 | 64 | 2 2 0 |
| 1.493 | 62.2 | 2 | 3 0 0 |
| 1.416 | 66.0 | 6 | 3 1 0 |
********
(Brief)
Your job: quote the whole of the material further above verbatim.
(Completed)
Co2As2PbO7: calculated powder diffraction line list (Cu Kα X-rays), based on a structure optimized by DFT (GGA+U).
No peak broadening, texture or thermal motion is included.

The 12 most intense peaks (10 to 90 degrees two-theta), in order of falling intensity:
two_theta	intensity
29.87	100
34.26	93
21.54	63
37.33	37
46.08	36
58.66	32
66.77	27
20.09	26
61.35	24
44.07	23
51.56	20
40.83	18

Structure:
abc: 7.2903 7.2903 7.2903
angles: 42.08 42.08 42.08
Fractional coordinates of all 12 atoms:
Co  0.1730  0.1730  0.1730
Co  0.8270  0.8270  0.8270
As  0.4142  0.4142  0.4142
As  0.5858  0.5858  0.5858
Pb  0.0000  0.0000  0.0000
O  0.0486  0.4288  0.8193
O  0.1807  0.5712  0.9514
O  0.4288  0.8193  0.0486
O  0.5000  0.5000  0.5000
O  0.5712  0.9514  0.1807
O  0.8193  0.0486  0.4288
O  0.9514  0.1807  0.5712

~~~~~

For Rb2TlH6Os, DFT lattice parameters and positions (GGA-PBE) gives the calculated X-ray powder pattern in this record (a wavelength of 1.5418 Å).

```
data_Rb2TlH6Os
_chemical_formula_sum 'Rb2 Tl1 H6 Os1'
_space_group_name_H-M_alt 'P -3 m 1'
_space_group_IT_number 164
_space_group_name_Hall '-P 3 2"'
_cell_length_a 6.1492
_cell_length_b 6.1492
_cell_length_c 5.5164
_cell_angle_alpha 90.00
_cell_angle_beta 90.00
_cell_angle_gamma 120.00
loop_
_atom_site_label
_atom_site_fract_x
_atom_site_fract_y
_atom_site_fract_z
_atom_site_occupancy
Rb1 0.3333 0.6667 0.2069 1
Tl1 0.0000 0.0000 0.5000 1
H1 0.1476 0.2953 0.8644 1
Os1 0.0000 0.0000 0.0000 1
```

Principal peaks in the range 2θ from 5° to 70°, by angle:
| d/Å | two_theta | I_rel | (hkl) |
| --- | --- | --- | --- |
| 5.325 | 16.6 | 100 | 1 0 0 |
| 3.831 | 23.2 | 23 | 1 0 1 |
| 3.075 | 29.0 | 91 | 1 1 0 |
| 2.663 | 33.7 | 17 | 2 0 0 |
| 2.449 | 36.7 | 69 | 0 1 2 |
| 2.013 | 45.0 | 16 | 2 1 0 |
| 1.916 | 47.5 | 34 | 2 0 2 |
| 1.775 | 51.5 | 19 | 3 0 0 |
| 1.626 | 56.6 | 40 | 1 2 2 |
| 1.537 | 60.2 | 12 | 2 2 0 |


For CePrCd6, DFT lattice parameters and positions (GGA-PBE) gives the calculated X-ray powder pattern in this record (a wavelength of 1.5418 Å).

```
data_CePrCd6
_chemical_formula_sum 'Ce2 Pr2 Cd12'
_space_group_name_H-M_alt 'A m m 2'
_space_group_IT_number 38
_space_group_name_Hall 'A 2 -2'
_cell_length_a 4.993
_cell_length_b 7.002
_cell_length_c 11.582
_cell_angle_alpha 90.00
_cell_angle_beta 90.00
_cell_angle_gamma 90.00
loop_
_atom_site_label
_atom_site_fract_x
_atom_site_fract_y
_atom_site_fract_z
_atom_site_occupancy
Ce1 0.000 0.000 0.000 1
Pr1 0.500 0.000 0.306 1
Cd1 0.000 0.000 0.489 1
Cd2 0.000 0.221 0.738 1
Cd3 0.500 0.000 0.821 1
Cd4 0.500 0.226 0.567 1
```

Principal peaks in the range 2θ from 5° to 70°, by angle:
| d/Å | two_theta | I_rel | (hkl) |
| --- | --- | --- | --- |
| 2.996 | 29.8 | 19 | 0 2 2 |
| 2.896 | 30.9 | 16 | 0 0 4 |
| 2.569 | 34.9 | 100 | 1 2 2 |
| 2.505 | 35.8 | 38 | 1 0 4 |
| 2.497 | 36.0 | 30 | 2 0 0 |
| 1.918 | 47.4 | 10 | 2 2 2 |
| 1.690 | 54.3 | 16 | 0 2 6 |
| 1.455 | 64.0 | 16 | 3 2 2 |
| 1.434 | 65.0 | 18 | 2 4 0 |
| 1.400 | 66.8 | 16 | 2 2 6 |


For SrCuNi3, DFT lattice parameters and positions (GGA-PBE) gives the calculated X-ray powder pattern in this record (a wavelength of 1.5418 Å).

```
data_SrCuNi3
_chemical_formula_sum 'Sr1 Cu1 Ni3'
_space_group_name_H-M_alt 'P m -3 m'
_space_group_IT_number 221
_space_group_name_Hall '-P 4 2 3'
_cell_length_a 4.478
_cell_length_b 4.478
_cell_length_c 4.478
_cell_angle_alpha 90.00
_cell_angle_beta 90.00
_cell_angle_gamma 90.00
loop_
_atom_site_label
_atom_site_fract_x
_atom_site_fract_y
_atom_site_fract_z
_atom_site_occupancy
Sr1 0.000 0.000 0.000 1
Cu1 0.500 0.500 0.500 1
Ni1 0.000 0.500 0.500 1
```

Principal peaks in the range 2θ from 5° to 70°, by angle:
| d/Å | two_theta | I_rel | (hkl) |
| --- | --- | --- | --- |
| 4.478 | 19.8 | 11 | 1 0 0 |
| 3.166 | 28.2 | 36 | 1 1 0 |
| 2.585 | 34.7 | 75 | 1 1 1 |
| 2.239 | 40.3 | 100 | 2 0 0 |
| 2.002 | 45.3 | 5 | 2 1 0 |
| 1.828 | 49.9 | 15 | 2 1 1 |
| 1.583 | 58.3 | 64 | 2 2 0 |
| 1.493 | 62.2 | 2 | 3 0 0 |
| 1.416 | 66.0 | 6 | 3 1 0 |